<<<
(1)
For TbNiSb, a cell relaxed with PBE gives the theoretical X-ray diffraction stick pattern in this record (Cu Kα X-rays).
Intensities are scaled so that the largest is 100.

Main lines, sorted by position (2θ = 5–70°):
| 2theta | intensity |
| --- | --- |
| 24.20 | 12.0 |
| 28.01 | 49.8 |
| 40.03 | 100.0 |
| 49.57 | 14.0 |
| 57.91 | 16.6 |
| 65.53 | 18.4 |

Crystal structure
Lattice parameters (Å, degrees): 4.504 4.504 4.504 60.00 60.00 60.00
Fractional positions:
Tb 0.000 0.000 0.000
Ni 0.250 0.250 0.250
Sb 0.500 0.500 0.500



(2)
For Tb5Ni2Sb, a cell relaxed with PBE gives the theoretical X-ray diffraction stick pattern in this record (Cu Kα X-rays).
Intensities are scaled so that the largest is 100.

Main lines, sorted by position (2θ = 5–70°):
| 2theta | intensity |
| --- | --- |
| 26.88 | 29.5 |
| 31.50 | 27.7 |
| 33.02 | 100.0 |
| 35.70 | 40.8 |
| 37.13 | 56.4 |
| 58.11 | 22.2 |

Crystal structure
Lattice parameters (Å, degrees): 8.593 8.593 8.593 127.09 127.09 78.10
Fractional positions:
Tb 0.000 0.000 0.000
Tb 0.023 0.523 0.823
Tb 0.201 0.023 0.500
Tb 0.299 0.799 0.823
Tb 0.477 0.299 0.500
Tb 0.500 0.500 0.000
Tb 0.523 0.701 0.500
Tb 0.701 0.201 0.177
Tb 0.799 0.977 0.500
Tb 0.977 0.477 0.177
Ni 0.124 0.376 0.500
Ni 0.376 0.876 0.252
Ni 0.624 0.124 0.748
Ni 0.876 0.624 0.500
Sb 0.250 0.250 0.000
Sb 0.750 0.750 0.000



(3)
For Ni2SbTe, a cell relaxed with PBE gives the theoretical X-ray diffraction stick pattern in this record (Cu Kα X-rays).
Intensities are scaled so that the largest is 100.

Main lines, sorted by position (2θ = 5–70°):
| 2theta | intensity |
| --- | --- |
| 31.03 | 100.0 |
| 43.46 | 55.5 |
| 45.43 | 53.7 |
| 56.03 | 18.4 |
| 59.51 | 15.3 |
| 64.68 | 16.1 |

Crystal structure
Lattice parameters (Å, degrees): 3.993 3.993 5.216 90.00 90.00 120.00
Fractional positions:
Ni 0.000 0.000 0.248
Ni 0.000 0.000 0.752
Sb 0.667 0.333 0.000
Te 0.333 0.667 0.500



(4)
For TiNiSb, a cell relaxed with PBE gives the theoretical X-ray diffraction stick pattern in this record (Cu Kα X-rays).
Intensities are scaled so that the largest is 100.

Main lines, sorted by position (2θ = 5–70°):
| 2theta | intensity |
| --- | --- |
| 24.98 | 25.6 |
| 28.92 | 47.0 |
| 41.36 | 100.0 |
| 51.25 | 12.7 |
| 59.92 | 15.8 |
| 67.89 | 16.1 |

Crystal structure
Lattice parameters (Å, degrees): 4.366 4.366 4.366 60.00 60.00 60.00
Fractional positions:
Ti 0.000 0.000 0.000
Ni 0.250 0.250 0.250
Sb 0.750 0.750 0.750

----------

This entry pairs a crystal structure of Sr3Pt4Pb7 with its theoretical powder diffraction line list. Radiation: CuKα. Structure: DFT lattice parameters and positions (GGA-PBE).
Kinematic intensities with the Lorentz-polarization factor, no thermal factor.

```
data_Sr3Pt4Pb7
_chemical_formula_sum 'Sr6 Pt8 Pb14'
_symmetry_space_group_name_H-M 'C 1 2/m 1'
_symmetry_Int_Tables_number 12
_cell_length_a 17.9336
_cell_length_b 4.7460
_cell_length_c 10.5736
_cell_angle_alpha 90.00
_cell_angle_beta 123.68
_cell_angle_gamma 90.00
loop_
_symmetry_equiv_pos_as_xyz
'x,y,z'
'-x,-y,-z'
'-x,y,-z'
'x,-y,z'
'x+1/2,y+1/2,z'
'-x+1/2,-y+1/2,-z'
'-x+1/2,y+1/2,-z'
'x+1/2,-y+1/2,z'
loop_
_atom_site_label
_atom_site_type_symbol
_atom_site_fract_x
_atom_site_fract_y
_atom_site_fract_z
Sr1 Sr 0.0000 0.0000 0.0000
Sr2 Sr 0.1878 0.5000 0.6980
Pt1 Pt 0.1230 0.0000 0.8519
Pt2 Pt 0.1629 0.5000 0.2788
Pb1 Pb 0.0000 0.0000 0.5000
Pb2 Pb 0.0027 0.5000 0.2777
Pb3 Pb 0.1650 0.0000 0.4280
Pb4 Pb 0.1857 0.5000 0.0390
```

Peak list (10 most intense, 10° ≤ 2θ ≤ 80°, in order of falling intensity)
2theta	intensity
30.6	100
31.5	75
37.9	75
16.8	51
36.1	51
39.3	49
53.4	34
34.3	30
35.5	28
20.5	27

This entry pairs a crystal structure of Mg2H5Ir2 with its theoretical powder diffraction line list. Radiation: CuKα. Structure: DFT lattice parameters and positions (GGA-PBE).
Kinematic intensities with the Lorentz-polarization factor, no thermal factor.

```
data_Mg2H5Ir2
_chemical_formula_sum 'Mg2 H5 Ir2'
_symmetry_space_group_name_H-M 'P 1'
>>>

Your job: echo the block above exactly.

(1)
For TbNiSb, a cell relaxed with PBE gives the theoretical X-ray diffraction stick pattern in this record (Cu Kα X-rays).
Intensities are scaled so that the largest is 100.

Main lines, sorted by position (2θ = 5–70°):
| 2theta | intensity |
| --- | --- |
| 24.20 | 12.0 |
| 28.01 | 49.8 |
| 40.03 | 100.0 |
| 49.57 | 14.0 |
| 57.91 | 16.6 |
| 65.53 | 18.4 |

Crystal structure
Lattice parameters (Å, degrees): 4.504 4.504 4.504 60.00 60.00 60.00
Fractional positions:
Tb 0.000 0.000 0.000
Ni 0.250 0.250 0.250
Sb 0.500 0.500 0.500



(2)
For Tb5Ni2Sb, a cell relaxed with PBE gives the theoretical X-ray diffraction stick pattern in this record (Cu Kα X-rays).
Intensities are scaled so that the largest is 100.

Main lines, sorted by position (2θ = 5–70°):
| 2theta | intensity |
| --- | --- |
| 26.88 | 29.5 |
| 31.50 | 27.7 |
| 33.02 | 100.0 |
| 35.70 | 40.8 |
| 37.13 | 56.4 |
| 58.11 | 22.2 |

Crystal structure
Lattice parameters (Å, degrees): 8.593 8.593 8.593 127.09 127.09 78.10
Fractional positions:
Tb 0.000 0.000 0.000
Tb 0.023 0.523 0.823
Tb 0.201 0.023 0.500
Tb 0.299 0.799 0.823
Tb 0.477 0.299 0.500
Tb 0.500 0.500 0.000
Tb 0.523 0.701 0.500
Tb 0.701 0.201 0.177
Tb 0.799 0.977 0.500
Tb 0.977 0.477 0.177
Ni 0.124 0.376 0.500
Ni 0.376 0.876 0.252
Ni 0.624 0.124 0.748
Ni 0.876 0.624 0.500
Sb 0.250 0.250 0.000
Sb 0.750 0.750 0.000



(3)
For Ni2SbTe, a cell relaxed with PBE gives the theoretical X-ray diffraction stick pattern in this record (Cu Kα X-rays).
Intensities are scaled so that the largest is 100.

Main lines, sorted by position (2θ = 5–70°):
| 2theta | intensity |
| --- | --- |
| 31.03 | 100.0 |
| 43.46 | 55.5 |
| 45.43 | 53.7 |
| 56.03 | 18.4 |
| 59.51 | 15.3 |
| 64.68 | 16.1 |

Crystal structure
Lattice parameters (Å, degrees): 3.993 3.993 5.216 90.00 90.00 120.00
Fractional positions:
Ni 0.000 0.000 0.248
Ni 0.000 0.000 0.752
Sb 0.667 0.333 0.000
Te 0.333 0.667 0.500



(4)
For TiNiSb, a cell relaxed with PBE gives the theoretical X-ray diffraction stick pattern in this record (Cu Kα X-rays).
Intensities are scaled so that the largest is 100.

Main lines, sorted by position (2θ = 5–70°):
| 2theta | intensity |
| --- | --- |
| 24.98 | 25.6 |
| 28.92 | 47.0 |
| 41.36 | 100.0 |
| 51.25 | 12.7 |
| 59.92 | 15.8 |
| 67.89 | 16.1 |

Crystal structure
Lattice parameters (Å, degrees): 4.366 4.366 4.366 60.00 60.00 60.00
Fractional positions:
Ti 0.000 0.000 0.000
Ni 0.250 0.250 0.250
Sb 0.750 0.750 0.750

----------

This entry pairs a crystal structure of Sr3Pt4Pb7 with its theoretical powder diffraction line list. Radiation: CuKα. Structure: DFT lattice parameters and positions (GGA-PBE).
Kinematic intensities with the Lorentz-polarization factor, no thermal factor.

```
data_Sr3Pt4Pb7
_chemical_formula_sum 'Sr6 Pt8 Pb14'
_symmetry_space_group_name_H-M 'C 1 2/m 1'
_symmetry_Int_Tables_number 12
_cell_length_a 17.9336
_cell_length_b 4.7460
_cell_length_c 10.5736
_cell_angle_alpha 90.00
_cell_angle_beta 123.68
_cell_angle_gamma 90.00
loop_
_symmetry_equiv_pos_as_xyz
'x,y,z'
'-x,-y,-z'
'-x,y,-z'
'x,-y,z'
'x+1/2,y+1/2,z'
'-x+1/2,-y+1/2,-z'
'-x+1/2,y+1/2,-z'
'x+1/2,-y+1/2,z'
loop_
_atom_site_label
_atom_site_type_symbol
_atom_site_fract_x
_atom_site_fract_y
_atom_site_fract_z
Sr1 Sr 0.0000 0.0000 0.0000
Sr2 Sr 0.1878 0.5000 0.6980
Pt1 Pt 0.1230 0.0000 0.8519
Pt2 Pt 0.1629 0.5000 0.2788
Pb1 Pb 0.0000 0.0000 0.5000
Pb2 Pb 0.0027 0.5000 0.2777
Pb3 Pb 0.1650 0.0000 0.4280
Pb4 Pb 0.1857 0.5000 0.0390
```

Peak list (10 most intense, 10° ≤ 2θ ≤ 80°, in order of falling intensity)
2theta	intensity
30.6	100
31.5	75
37.9	75
16.8	51
36.1	51
39.3	49
53.4	34
34.3	30
35.5	28
20.5	27

This entry pairs a crystal structure of Mg2H5Ir2 with its theoretical powder diffraction line list. Radiation: CuKα. Structure: DFT lattice parameters and positions (GGA-PBE).
Kinematic intensities with the Lorentz-polarization factor, no thermal factor.

```
data_Mg2H5Ir2
_chemical_formula_sum 'Mg2 H5 Ir2'
_symmetry_space_group_name_H-M 'P 1'